Wednesday, July 16, 2008

My Fourth Job....

In consulting we have a saying. When you work for the firm (I’m not going to divulge my employer to many people get fired for this) you have 3 jobs. The first and most important job is client services. The work you are doing that the company bills for. This takes the first priority. It also takes the majority of your time and effort. Generally we put in 40 to 45 hours a week for this job, not including travel time to and from the city the client is located in. But while this job is the biggest priority no matter how good you are at it you will not get promoted beyond a certain level or on schedule only completing these activities. In fact it is only what is expected as a minimum. It is the next two parts of the job that get you promoted.

_Here the article breaks off for data records_
Model one:
The following is a DFT calculation (PBE) of a relaxed FeTcIr2 crystal.

It has space group Pmmm (No. 47), with a = 2.773 Å, b = 4.504 Å, c = 4.583 Å, α = 90.00°, β = 90.00° and γ = 90.00°. Symmetry generates all atoms from Fe at (0.000, 0.000, 0.000), Tc at (0.500, 0.000, 0.500), Ir at (0.000, 0.500, 0.500) and Ir at (0.500, 0.500, 0.000).

***

Model two:
The following is a DFT calculation (PBE) of a relaxed FeTcIr2 crystal.

It has space group Amm2 (No. 38), with a = 4.097 Å, b = 2.710 Å, c = 10.004 Å, α = 90.00°, β = 90.00° and γ = 90.00°. Symmetry generates all atoms from Fe at (0.000, 0.000, 0.000), Tc at (0.500, 0.000, 0.866), Ir at (0.000, 0.000, 0.258) and Ir at (0.500, 0.000, 0.599).

***

model two wins, 24.6 kJ/mol of atoms ahead of the next structure.

***

Model one:
The following is a DFT calculation (PBE) of a relaxed FeTcIr2 crystal.

It has space group Imm2 (No. 44), with a = 2.803 Å, b = 4.385 Å, c = 9.184 Å, α = 90.00°, β = 90.00° and γ = 90.00°. Symmetry generates all atoms from Fe at (0.000, 0.000, 0.000), Tc at (0.000, 0.500, 0.280), Ir at (0.000, 0.000, 0.504) and Ir at (0.000, 0.500, 0.724).

***

Model two:
The following is a DFT calculation (PBE) of a relaxed FeTcIr2 crystal.

It has space group I-4m2 (No. 119), with a = 3.795 Å, b = 3.795 Å, c = 7.692 Å, α = 90.00°, β = 90.00° and γ = 90.00°. Symmetry generates all atoms from Fe at (0.000, 0.000, 0.000), Tc at (0.000, 0.500, 0.250), Ir at (0.000, 0.000, 0.500) and Ir at (0.000, 0.500, 0.750).

***

Model three:
The following is a DFT calculation (PBE) of a relaxed FeTcIr2 crystal.

It has space group Pmmm (No. 47), with a = 2.723 Å, b = 3.789 Å, c = 5.397 Å, α = 90.00°, β = 90.00° and γ = 90.00°. Symmetry generates all atoms from Fe at (0.000, 0.000, 0.000), Tc at (0.000, 0.000, 0.500) and Ir at (0.500, 0.500, 0.247).

***

Model four:
The following is a DFT calculation (PBE) of a relaxed FeTcIr2 crystal.

It has space group C2/m (No. 12), with a = 8.992 Å, b = 2.704 Å, c = 4.652 Å, α = 90.00°, β = 100.13° and γ = 90.00°. Symmetry generates all atoms from Fe at (0.000, 0.000, 0.000), Tc at (0.000, 0.500, 0.500) and Ir at (0.249, 0.500, 0.248).

***

model three wins, 6.5 kJ/mol of atoms ahead of the next structure.

***

Model one:
The following is a DFT calculation (PBE) of a relaxed FeTcIr2 crystal.

It has space group I4/mmm (No. 139), with a = 3.824 Å, b = 3.824 Å, c = 7.611 Å, α = 90.00°, β = 90.00° and γ = 90.00°. Symmetry generates all atoms from Fe at (0.000, 0.000, 0.000), Tc at (0.000, 0.000, 0.500) and Ir at (0.000, 0.500, 0.250).

***

Model two:
The following is a DFT calculation (PBE) of a relaxed FeTcIr2 crystal.

It has space group Pmm2 (No. 25), with a = 2.709 Å, b = 3.805 Å, c = 5.387 Å, α = 90.00°, β = 90.00° and γ = 90.00°. Symmetry generates all atoms from Fe at (0.000, 0.000, 0.000), Tc at (0.500, 0.500, 0.748), Ir at (0.000, 0.000, 0.505) and Ir at (0.500, 0.500, 0.228).

***

The next job you have when working for the firm is logistics or bureaucratic processes imposed by the company. Most people have to spend 10 min to ½ hour a week filling out their time and expense at a normal company. When you work for a consulting firm there is easily 10 times more to do. We have to fill out surveys, take a certain amount of required ethics trainings, fill out long performance evaluations, do goal setting, provide either counseling or mentoring to a junior employee, respond to knowledge requests, and continuously support other resources who need your expertise to complete their client work. And all of this is reported on. When mid-year or year-end comes along they have a whole set of reports to make sure your time and expense were in order and on time, that you filled out all the other firms on time, that you took the appropriate trainings, and that you contributed when directly asked. This work doesn’t take up as much time client services but you can figure on at least 2-5 hours a week on top of your 40-45 client hours and 2-8 hours of traveling. Though many times you can do some of this work on the plane so then traveling is at least productive time.

Finally when working for a consulting company there is the third job. This is managing your own career. Most consulting firms have org. charts that look like pyramids; a ton of people at the lower levels with very few at the top. This means that it is up or out. No one really stays at the same level more than additional year than the expected amount of time. You don’t really get fired you are just informed that you working for the firm may no longer be the correct match. So this is an important job, though of course you have to keep up with the first two before you can worry about the third. This is where networking activities come in, meeting people going to events, basically getting your name out there. It is also where volunteering to help with sales, marketing, and practice building activities come in. This work can sometimes be done in place of client services to some extent but it is the work you put in above and beyond that gets you noticed. Some of the activities include working on proposals, working on methodology documentation, contributing to our knowledge exchange, writing white papers, and giving presentations to teach a process, tool, or methodology. It is basically working to becoming a go to person that people will call when they have questions or needs.

Unrelated to this entry: materials data
........
a | An optimized crystal structure of TcAg2Cl2, computed with PBE.

It has space group P4/mbm (No. 127), with a = 6.3295 Å, b = 6.3295 Å, c = 5.1252 Å, α = 90.00°, β = 90.00° and γ = 90.00°. Symmetry generates all atoms from Tc at (0.0000, 0.0000, 0.0000), Ag at (0.2375, 0.2625, 0.5000) and Cl at (0.1687, 0.3313, 0.0000).

Its magnetization is 1.2 μB per formula unit.


b | An optimized crystal structure of TcAg2Cl2, computed with PBE.

It has space group I4/mmm (No. 139), with a = 4.4205 Å, b = 4.4205 Å, c = 11.4575 Å, α = 90.00°, β = 90.00° and γ = 90.00°. Symmetry generates all atoms from Tc at (0.0000, 0.0000, 0.0000), Ag at (0.0000, 0.0000, 0.3859) and Cl at (0.0000, 0.5000, 0.2500).

Its magnetization is 4.7 μB per formula unit.


c | An optimized crystal structure of TcAg2Cl2, computed with PBE.

It has space group I4/mmm (No. 139), with a = 3.6534 Å, b = 3.6534 Å, c = 19.2699 Å, α = 90.00°, β = 90.00° and γ = 90.00°. Symmetry generates all atoms from Tc at (0.0000, 0.0000, 0.0000), Ag at (0.0000, 0.5000, 0.2500) and Cl at (0.0000, 0.0000, 0.4202).

Its magnetization is 4.7 μB per formula unit.


d | An optimized crystal structure of TcAg2Cl2, computed with PBE.

It has space group P4/mbm (No. 127), with a = 7.5768 Å, b = 7.5768 Å, c = 3.5784 Å, α = 90.00°, β = 90.00° and γ = 90.00°. Symmetry generates all atoms from Tc at (0.0000, 0.0000, 0.0000), Ag at (0.1342, 0.3658, 0.0000) and Cl at (0.1707, 0.6707, 0.5000).

Its magnetization is 3.7 μB per formula unit.


Ranked by calculated energy, most stable first: a, c, d, b.

* * * * *

Entry 1:
## PrEuAgBi (PBE)

Data for a relaxed structure of PrEuAgBi.

a = 5.521 Å, b = 5.521 Å, c = 5.521 Å
α = 60.00°, β = 60.00°, γ = 60.00°
Last column: magnetic moment on the atom in μB.
Element x y z (fractional)
Eu1 0.250 0.250 0.250  6.94
Ag1 0.500 0.500 0.500  0.02
Bi1 0.000 0.000 0.000  -0.08
Pr1 0.750 0.750 0.750  0.31

- total magnetic moment (μB per cell) = 7.98
- final energy (eV/cell) = -23.94
- formation energy (eV/f.u.) = -2.2
- calculated density (Mg/m³) = 8.5
- DOS(E_F) (states/eV per cell) = 2.7


Entry 2:
## Hg2BiF11 (PBE)

Data for a relaxed structure of Hg2BiF11.

a = 8.343 Å, b = 8.582 Å, c = 8.582 Å
α = 76.72°, β = 60.92°, γ = 60.92°
Element x y z (fractional)
Hg1 0.723 0.717 0.283
F1 0.654 0.708 0.575
F2 0.056 0.155 0.845
F3 0.000 0.000 0.000
F4 0.444 0.655 0.345
F5 0.063 0.575 0.708
F6 0.556 0.345 0.655
F7 0.557 0.017 0.702
F8 0.944 0.845 0.155
F9 0.500 0.500 0.500
F10 0.437 0.792 0.925
Hg2 0.277 0.283 0.717
F11 0.563 0.208 0.075
F12 0.057 0.202 0.517
Hg3 0.223 0.783 0.217
Bi1 0.750 0.750 0.750
F13 0.776 0.483 0.798
F14 0.154 0.075 0.208
Hg4 0.777 0.217 0.783
F15 0.724 0.702 0.017
F16 0.846 0.925 0.792
F17 0.443 0.983 0.298
F18 0.943 0.798 0.483
Bi2 0.250 0.250 0.250
F19 0.276 0.298 0.983
F20 0.346 0.292 0.425
F21 0.224 0.517 0.202
F22 0.937 0.425 0.292

- total magnetic moment (μB per cell) = 0.00
- final energy (eV/cell) = -87.60
- calculated density (Mg/m³) = 5.8
........

But now I am a little lucky because I get board easily. So having all these different activities to take care of seems to keep in from getting myself in trouble. However if I didn’t have enough work I have my fourth job. My wife, plain and simple, requires as much work as any of my three jobs above. Lucky for me it is a total labor in love though. But basically she requires constant attention. It doesn’t always need to be a lot at one time, just a constant supply. If she posts a blog I need to comment, if she writes on my Facebook wall I need to write on hers, I should call at least once a day – though when she was in the states she would call me a couple times herself (I guess for good measure), emails need as close to as immediate responses as possible, the next weekend we get together needs to be planned, if I don’t post blogs on a regular basis I start to get pinged until I do it, and so on, and so on. To be honest I find this most endearing. It means she wants to interact with me and spend time with. She wants to know my thoughts on things, and she is spending her attention on me. I do love it. But to be honest it is still a lot of work. But I would suppose anyone who is married must have this extra job. I just wonder if they have a task master as tenacious mine. They should be so lucky!

=====
No. 1
Entry from the Alexandria database: a geometry-optimized Ba4Te3 structure (PBE).

* crystal system: trigonal
* energy above the most stable polymorph in this dataset: 0.0 kJ per mole of atoms
* calculated total energy: -27.50 eV for the cell shown

a = 4.951 Å, b = 4.951 Å, c = 16.502 Å
α = 81.37°, β = 81.37°, γ = 59.99°
Positions (direct):
Ba1 0.126 0.126 0.623
Ba2 0.375 0.375 0.875
Te1 0.248 0.248 0.255
Ba3 0.874 0.874 0.377
Te2 0.000 0.000 0.000
Ba4 0.625 0.625 0.125
Te3 0.752 0.752 0.745

No. 2
Entry from the Alexandria database: a geometry-optimized InIrCl structure (PBE).

* crystal system: hexagonal
* energy above the most stable polymorph in this dataset: 7.4 kJ per mole of atoms
* calculated total energy: -12.50 eV for the cell shown

a = 4.448 Å, b = 4.448 Å, c = 3.167 Å
α = 90.00°, β = 90.00°, γ = 120.00°
Positions (direct):
In1 0.333 0.667 0.334
Ir1 0.667 0.333 0.833
Cl1 0.000 0.000 0.833

No. 3
Entry from the Alexandria database: a geometry-optimized BaSrZn2Pd structure (PBE).

* formation enthalpy at 0 K: -198 meV per atom
* crystal system: tetragonal
* calculated total energy: -12.34 eV for the cell shown

a = 5.186 Å, b = 5.186 Å, c = 5.460 Å
α = 90.00°, β = 90.00°, γ = 90.00°
Positions (direct):
Sr1 0.000 0.000 0.500
Ba1 0.500 0.500 0.500
Zn1 0.000 0.500 0.000
Pd1 0.000 0.000 0.000
Zn2 0.500 0.000 0.000

No. 4
Entry from the Alexandria database: a geometry-optimized LuNbCoCu structure (PBE).

* formation enthalpy at 0 K: -12 meV per atom
* crystal system: cubic
* calculated total energy: -25.84 eV for the cell shown

a = 4.527 Å, b = 4.527 Å, c = 4.527 Å
α = 60.00°, β = 60.00°, γ = 60.00°
Positions (direct):
Cu1 0.750 0.750 0.750
Lu1 0.500 0.500 0.500
Co1 0.250 0.250 0.250
Nb1 0.000 0.000 0.000

No. 5
Entry from the Alexandria database: a geometry-optimized Y2GeIN structure (PBE).

* crystal system: tetragonal
* calculated total energy: -27.11 eV for the cell shown

a = 5.546 Å, b = 3.944 Å, c = 5.546 Å
α = 90.00°, β = 90.00°, γ = 90.00°
Positions (direct):
N1 0.000 0.500 0.000
I1 0.500 0.500 0.500
Y1 0.500 0.000 0.000
Y2 0.000 0.000 0.500
Ge1 0.000 0.000 0.000

No. 6
Entry from the Alexandria database: a geometry-optimized NaNiAs structure (PBE).

* formation enthalpy at 0 K: -232 meV per atom
* crystal system: hexagonal
* calculated total energy: -12.45 eV for the cell shown

a = 4.471 Å, b = 3.940 Å, c = 3.940 Å
α = 120.00°, β = 90.00°, γ = 90.00°
Positions (direct):
As1 0.167 0.000 0.000
Na1 0.667 0.333 0.667
Ni1 0.167 0.667 0.333

No. 7
Entry from the Alexandria database: a geometry-optimized Mg5ZrSc4 structure (PBE).

* formation enthalpy at 0 K: -15 meV per atom
* crystal system: tetragonal
* calculated total energy: -41.99 eV for the cell shown

a = 3.561 Å, b = 3.561 Å, c = 18.076 Å
α = 90.00°, β = 90.00°, γ = 90.00°
Positions (direct):
Mg1 0.500 0.500 0.702
Sc1 0.000 0.000 0.400
Zr1 0.000 0.000 0.000
Sc2 0.000 0.000 0.804
Mg2 0.500 0.500 0.298
Mg3 0.500 0.500 0.902
Mg4 0.500 0.500 0.500
Sc3 0.000 0.000 0.196
=====

I wonder if each kid will be an additional job... Sheesh... I may be in for it.
Of course I wouldn't have it any other way.


ruzik said...

You are lucky you have me. I keep you on your toes. Once we have kids though, I will probably lighten up a bit, they will keep you plenty busy without my intervention :) Although, who knows, maybe you will just be slowly going crazy with me and our kids bugging you about EVERYTHING ALL THE TIME :) Just don't forget that you wouldn't have it any other way. I will remind you that when you get fed up with all our non-sense :)

ruzik said...

Hmm, I am thinking that you should write another blog soon. I am getting tired of reading the old ones.